Given:
/*
# 1
This record from the Alexandria database describes an optimized crystal structure of Ho3Ga7Fe2. The functional is GGA-PBE.

Cell: 4.516 4.503 11.387 Å, 101.40 90.00 90.00°
Site moments in Bohr magnetons follow the coordinates.
Element x y z (fractional)
Ho 0.500 0.685 0.371  0.00
Ga 0.500 0.094 0.188  -0.03
Ga 0.500 0.906 0.812  -0.03
Ga 0.000 0.785 0.569  -0.02
Ho 0.500 0.315 0.629  0.00
Ga 0.000 0.595 0.190  -0.04
Fe 0.000 0.894 0.788  1.04
Fe 0.000 0.106 0.212  1.04
Ga 0.000 0.215 0.431  -0.02
Ga 0.000 0.000 0.000  -0.02
Ho 0.500 0.500 0.000  0.15
Ga 0.000 0.405 0.810  -0.04

* ρ: 8.01 g/cm3
* spin magnetization: 2.08 μB/f.u.
* formation energy: -448 kJ/mol of formula units
* crystal system: orthorhombic

***

# 2
This record from the Alexandria database describes an optimized crystal structure of TbPmDy5Y2. The functional is GGA-PBE.

Cell: 5.628 10.297 10.596 Å, 90.00 90.00 105.86°
Element x y z (fractional)
Dy 0.390 0.781 0.023
Dy 0.981 0.962 0.525
Dy 0.283 0.565 0.310
Dy 0.717 0.435 0.810
Y 0.110 0.221 0.735
Pm 0.584 0.168 0.954
Dy 0.479 0.957 0.738
Tb 0.201 0.403 0.011
Dy 0.019 0.038 0.025
Y 0.886 0.772 0.820
Y 0.114 0.228 0.320
Pm 0.416 0.832 0.454
Dy 0.702 0.403 0.207
Tb 0.799 0.597 0.511
Dy 0.521 0.043 0.238
Dy 0.298 0.597 0.707
Y 0.890 0.779 0.235
Dy 0.610 0.219 0.523

* ρ: 7.28 g/cm3
* spin magnetization: 0.00 μB/f.u.
* formation energy: 133 kJ/mol of formula units
* crystal system: orthorhombic

***

# 3
This record from the Alexandria database describes an optimized crystal structure of KSr2Mo. The functional is GGA-PBE.

Cell: 12.933 12.933 12.933 Å, 17.46 17.46 17.46°
Site moments in Bohr magnetons follow the coordinates.
Element x y z (fractional)
Mo 0.745 0.745 0.745  2.82
Sr 0.254 0.254 0.254  0.00
Sr 0.017 0.017 0.017  -0.01
K 0.485 0.485 0.485  0.01

* energy relative to the lowest polymorph listed for this composition: 319 meV/atom
* ρ: 3.03 g/cm3
* spin magnetization: 3.45 μB/f.u.
* formation energy: 414 kJ/mol of formula units
* crystal system: trigonal

=====

1.
{
  "formula": "Sm3PN2",
  "functional": "PBE-GGA",
  "state": "relaxed",
  "lattice": [[3.711, 0.000, 0.000], [-1.856, 3.214, 0.000], [0.000, 0.000, 9.337]],
  "species": ["Sm", "Sm", "Sm", "P", "N", "N"],
  "fractional_positions": [[0.000, 0.000, 0.000], [0.333, 0.667, 0.696], [0.667, 0.333, 0.304], [0.000, 0.000, 0.500], [0.333, 0.667, 0.154], [0.667, 0.333, 0.846]],
  "total_magnetization_mub_per_cell": 0.00,
  "crystal_system": "trigonal",
  "e_tot_ev_per_atom": -7.437
}



2.
{
  "formula": "SmPN2",
  "functional": "PBE-GGA",
  "state": "relaxed",
  "lattice": [[3.444, -3.059, 0.000], [3.444, 3.059, 0.000], [-3.079, 0.000, 5.974]],
  "species": ["Sm", "Sm", "P", "P", "N", "N", "N", "N"],
  "fractional_positions": [[0.149, 0.851, 0.750], [0.851, 0.149, 0.250], [0.350, 0.650, 0.250], [0.650, 0.350, 0.750], [0.077, 0.665, 0.351], [0.335, 0.923, 0.149], [0.665, 0.077, 0.851], [0.923, 0.335, 0.649]],
  "total_magnetization_mub_per_cell": 0.00,
*/

Assignment:
Next, reproduce the calculation results earlier on without additions.

Reply:
# 1
This record from the Alexandria database describes an optimized crystal structure of Ho3Ga7Fe2. The functional is GGA-PBE.

Cell: 4.516 4.503 11.387 Å, 101.40 90.00 90.00°
Site moments in Bohr magnetons follow the coordinates.
Element x y z (fractional)
Ho 0.500 0.685 0.371  0.00
Ga 0.500 0.094 0.188  -0.03
Ga 0.500 0.906 0.812  -0.03
Ga 0.000 0.785 0.569  -0.02
Ho 0.500 0.315 0.629  0.00
Ga 0.000 0.595 0.190  -0.04
Fe 0.000 0.894 0.788  1.04
Fe 0.000 0.106 0.212  1.04
Ga 0.000 0.215 0.431  -0.02
Ga 0.000 0.000 0.000  -0.02
Ho 0.500 0.500 0.000  0.15
Ga 0.000 0.405 0.810  -0.04

* ρ: 8.01 g/cm3
* spin magnetization: 2.08 μB/f.u.
* formation energy: -448 kJ/mol of formula units
* crystal system: orthorhombic

***

# 2
This record from the Alexandria database describes an optimized crystal structure of TbPmDy5Y2. The functional is GGA-PBE.

Cell: 5.628 10.297 10.596 Å, 90.00 90.00 105.86°
Element x y z (fractional)
Dy 0.390 0.781 0.023
Dy 0.981 0.962 0.525
Dy 0.283 0.565 0.310
Dy 0.717 0.435 0.810
Y 0.110 0.221 0.735
Pm 0.584 0.168 0.954
Dy 0.479 0.957 0.738
Tb 0.201 0.403 0.011
Dy 0.019 0.038 0.025
Y 0.886 0.772 0.820
Y 0.114 0.228 0.320
Pm 0.416 0.832 0.454
Dy 0.702 0.403 0.207
Tb 0.799 0.597 0.511
Dy 0.521 0.043 0.238
Dy 0.298 0.597 0.707
Y 0.890 0.779 0.235
Dy 0.610 0.219 0.523

* ρ: 7.28 g/cm3
* spin magnetization: 0.00 μB/f.u.
* formation energy: 133 kJ/mol of formula units
* crystal system: orthorhombic

***

# 3
This record from the Alexandria database describes an optimized crystal structure of KSr2Mo. The functional is GGA-PBE.

Cell: 12.933 12.933 12.933 Å, 17.46 17.46 17.46°
Site moments in Bohr magnetons follow the coordinates.
Element x y z (fractional)
Mo 0.745 0.745 0.745  2.82
Sr 0.254 0.254 0.254  0.00
Sr 0.017 0.017 0.017  -0.01
K 0.485 0.485 0.485  0.01

* energy relative to the lowest polymorph listed for this composition: 319 meV/atom
* ρ: 3.03 g/cm3
* spin magnetization: 3.45 μB/f.u.
* formation energy: 414 kJ/mol of formula units
* crystal system: trigonal

=====

1.
{
  "formula": "Sm3PN2",
  "functional": "PBE-GGA",
  "state": "relaxed",
  "lattice": [[3.711, 0.000, 0.000], [-1.856, 3.214, 0.000], [0.000, 0.000, 9.337]],
  "species": ["Sm", "Sm", "Sm", "P", "N", "N"],
  "fractional_positions": [[0.000, 0.000, 0.000], [0.333, 0.667, 0.696], [0.667, 0.333, 0.304], [0.000, 0.000, 0.500], [0.333, 0.667, 0.154], [0.667, 0.333, 0.846]],
  "total_magnetization_mub_per_cell": 0.00,
  "crystal_system": "trigonal",
  "e_tot_ev_per_atom": -7.437
}



2.
{
  "formula": "SmPN2",
  "functional": "PBE-GGA",
  "state": "relaxed",
  "lattice": [[3.444, -3.059, 0.000], [3.444, 3.059, 0.000], [-3.079, 0.000, 5.974]],
  "species": ["Sm", "Sm", "P", "P", "N", "N", "N", "N"],
  "fractional_positions": [[0.149, 0.851, 0.750], [0.851, 0.149, 0.250], [0.350, 0.650, 0.250], [0.650, 0.350, 0.750], [0.077, 0.665, 0.351], [0.335, 0.923, 0.149], [0.665, 0.077, 0.851], [0.923, 0.335, 0.649]],
  "total_magnetization_mub_per_cell": 0.00,